Finals week is quickly approaching. While some strategies might be to live off caffeine while cramming for exams and finishing up papers, I have some other tools for success.
What comes next are records of molecules, not part of the entry:
____________
[1]
Density functional theory data (ωB97M-V/def2-TZVPD) for a single H4O3SSi molecule.

Geometry as XYZ:
```
9
Properties=species:S:1:pos:R:3:forces:R:3
O -0.56896 1.39513 -0.55750 3.358 -0.325 0.771
Si 0.14171 0.02357 0.02687 -1.794 -0.462 0.111
O -1.20296 -1.00772 0.34572 1.297 2.347 -1.833
O 1.13658 0.33705 1.28019 -0.545 1.696 1.984
S 1.41512 -1.03787 -1.26494 1.719 -0.290 1.643
H -1.45393 1.38037 -0.78544 -2.732 -0.184 -0.637
H -1.06451 -1.38907 1.17471 0.033 -1.325 2.123
H 0.96478 1.04926 1.99133 0.223 -1.842 -1.997
H 0.63218 -0.75072 -2.21093 -1.559 0.383 -2.165
```
Forces are in eV/Å.

Values from the calculation:
* structure (SMILES): O[Si](O)(O)S
* charge: 0
* frontier orbital gap: 10.0 eV
* molar mass: 112.18 g/mol
* HOMO energy: -9.712 eV
* LUMO: 0.0106 Ha
* energy relative to the best compared isomer or geometry (same formula, charge and spin): 0.141 eV



[2]
Density functional theory data (ωB97M-V/def2-TZVPD) for 9 unconnected molecules or ions with the total composition C27H54O9.

Geometry as XYZ:
```
90
Properties=species:S:1:pos:R:3:forces:R:3
C 1.49832 -1.29538 25.27367 0.390 -1.704 -0.179
C 0.69323 -0.13034 25.67978 -1.214 -0.225 0.571
O -0.43909 -0.28934 26.08745 0.215 -0.047 -0.228
C 1.28277 1.20556 25.64360 0.894 0.914 -0.348
H 1.73343 -1.41817 24.21644 -0.385 0.402 -0.288
H 0.91779 -2.17067 25.56513 0.244 -0.155 -0.022
H 2.48156 -1.33069 25.74282 -0.054 0.185 0.447
H 1.50994 1.54316 26.65480 -0.391 0.160 0.111
H 0.57835 1.86833 25.14098 0.179 0.354 0.215
H 2.24595 1.20921 25.13333 -0.058 0.054 -0.290
C 5.75480 7.68717 21.66245 -0.087 -2.006 0.789
C 4.64806 7.77923 20.67995 -0.086 1.370 -1.761
O 4.00588 6.86853 20.21349 0.109 -1.551 0.950
C 4.40936 9.08422 20.03031 -0.178 1.160 0.328
H 6.70280 7.55451 21.14111 0.032 0.410 -0.202
H 5.57500 6.69995 22.08807 0.312 -0.007 0.567
H 5.84982 8.42542 22.45873 -0.245 0.226 -0.407
H 5.35317 9.61012 19.88633 -0.042 0.071 -0.362
H 3.84394 9.71073 20.72015 -0.114 0.179 0.125
H 3.79827 8.94580 19.13839 0.321 0.152 -0.037
C 9.41982 3.18435 27.27552 -0.597 0.495 -0.212
C 8.50488 2.13185 26.70675 -1.823 0.051 -2.272
O 7.78325 2.37949 25.70064 1.964 -1.430 3.093
C 8.54790 0.75025 27.48654 0.802 1.534 -0.692
H 9.32711 4.13093 26.74308 0.119 -0.273 -0.395
H 10.45677 2.84941 27.30067 -0.063 -0.014 0.183
H 9.05962 3.44024 28.27196 0.266 -0.370 0.379
H 8.77540 -0.09282 26.83417 -0.460 0.053 -0.229
H 7.67680 0.59725 28.12362 -0.077 0.036 -0.220
H 9.42949 0.85467 28.11898 -0.174 -0.229 0.315
C 3.37820 3.66372 21.96531 -0.763 0.599 -0.952
C 4.46921 3.71753 22.96443 1.901 1.310 0.624
O 5.43104 4.47673 22.83663 -1.259 -1.114 -0.017
C 4.38926 2.88443 24.23623 0.185 0.068 0.044
H 2.44318 3.99869 22.41434 -0.237 -0.473 0.379
H 3.24259 2.70310 21.46839 -0.039 -0.230 0.423
H 3.50366 4.39307 21.16506 0.611 0.089 0.051
H 5.26157 3.06816 24.86346 0.118 0.075 -0.238
H 4.38043 1.82579 23.97685 -0.291 -0.173 0.008
H 3.51303 3.12060 24.84001 -0.237 -0.036 -0.272
C 2.40482 -0.13071 21.81330 0.896 -0.456 -0.513
____________
Back to the entry:
1. Study at the library
I always find that I accomplish more work and I get distracted a lot less if I am studying an environment that is surrounded by others who are doing the same thing. Yes, the library does fill up quickly around this time of year, but there are always places to be found that people may not know about. Other academic buildings work as well.
2. Take quick breaks
It can be boring looking at the same textbook for hours on end of studying the same subject or topic. It is always good to take a break when you find yourself reading but not actually retaining any information. Grab a coffee or a snack and take a quick walk to come back refreshed.
3. Turn off your phone
If you are someone who gets easily distracted by having their phone next to them, turn it off while you study. It takes a lot longer to read through a chapter when you are constantly responding to messages on your phone or checking social media every 10 minutes. You can turn your phone back on during the breaks when you take them to check social media and respond to the messages.
4. Don’t procrastinate
This may seem a lot easier said than done. Especially when there a multiple assignments or tests on the same day, it may be tough to prepare, or at this point it may be too late and you might have to cram. Try to avoid this if possible, assignments become a lot less stressful when you are starting a paper the day before it is due. Also procrastinating ends up leading to very late nights which can affect your performance on tests.
5. Don’t skip meals
It may seem like there isn't enough time in the day to get everything done and eat as well. Sometimes you may be thinking that something has to be sacrificed. Eating will provide you the proper energy to be able to focus, your brain needs food in order to function at its full capacity.
6. Drink a lot of water
This might not seem like something that will help you ace your finals directly. It is important to stay hydrated in order to maintain focus when studying, also water is good for you and can help prevent that feeling of dehydration or tiredness. Even just plain old water can improve mental performance.
7. Go to any review sessions
They might not seem like the most helpful depending on who you have as a professor, but it is a chance to show that you are dedicated and want to do well in the class. Professors usually take notice to those who are putting in the extra effort.
8. Create a study schedule
Creating a schedule can help break up large assignments into smaller chunks so they might not seem as daunting. If you are able to stick with the schedule this can be a great tool for success.
9. Prioritize your time
If you know one class has very tough exams, then it might be wise to spend more time studying for that class compared to a class that might not be as challenging. Another factor to take into account would be how you are doing in your classes, if you are struggling in one particular class, you may want to devote more time to assignments and studying for that class.
10. Listen to music or relax
It is important to keep stress levels in check, for some people this might mean listening to some calming music in order to reduce anxiety. Take some deep breaths if you are feeling overwhelmed and take a few minutes to decompress and think about something else.